Great Moments Of The Generation: Wii Bowling Takes Over


The Nintendo Wii holds an unique honour in my gaming lifetime. It’s the only console I’ve ever sold – *twice* – while its been in the middle of its life. There’s has been no other console that has left me feeling so totally angry and ambivalent about its core mission and design. The lack of HD, the foggy motion controls, the dry spells between Mario and Zelda games filled with tumbleweeds; it was something that I just new I wouldn’t able to connect with. I bought two Wiis and sold them both, head shaking harder the second time for believing that there might have been some redeeming long-term feature I’d missed.

**These records of crystals were left in the entry by mistake:**
-- begin --
Entry 1:
Starting from a DFT-relaxed cell (PBE+U, Alexandria), the powder X-ray diffraction pattern of Co2NiRhO4 was computed for λ = 1.5418 Å (Cu Kα).
Peak positions follow from Bragg's law for the DFT cell and can differ from measured ones.

Crystal structure
```
data_Co2NiRhO4
_symmetry_space_group_name_H-M 'C 1 2/c 1'
_symmetry_Int_Tables_number 15
_cell_length_a 8.154
_cell_length_b 8.296
_cell_length_c 6.317
_cell_angle_alpha 90.00
_cell_angle_beta 127.28
_cell_angle_gamma 90.00
loop_
_symmetry_equiv_pos_as_xyz
'x,y,z'
'-x,-y,-z'
'-x,y,-z+1/2'
'x,-y,z+1/2'
'x+1/2,y+1/2,z'
'-x+1/2,-y+1/2,-z'
'-x+1/2,y+1/2,-z+1/2'
'x+1/2,-y+1/2,z+1/2'
loop_
_atom_site_label
_atom_site_fract_x
_atom_site_fract_y
_atom_site_fract_z
Co1 0.000 0.000 0.000
Co2 0.250 0.250 0.000
Ni1 0.250 0.250 0.500
Rh1 0.000 0.500 0.000
O1 0.047 0.255 0.081
O2 0.207 0.008 0.899
```

Most intense lines, 2θ = 10–90°, by intensity:
- d 2.555, 2θ = 35.12°, I 100
- d 2.478, 2θ = 36.26°, I 93
- d 2.513, 2θ = 35.73°, I 87
- d 2.074, 2θ = 43.64°, I 59
- d 2.036, 2θ = 44.50°, I 56
- d 1.600, 2θ = 57.63°, I 39
- d 1.453, 2θ = 64.09°, I 33
- d 1.474, 2θ = 63.06°, I 27
- d 1.430, 2θ = 65.27°, I 24
- d 1.622, 2θ = 56.75°, I 21

Entry 2:
Starting from a DFT-relaxed cell (PBE+U, Alexandria), the powder X-ray diffraction pattern of CoNiTe2O6 was computed for λ = 1.5418 Å (Cu Kα).
Peak positions follow from Bragg's law for the DFT cell and can differ from measured ones.

Crystal structure
```
data_CoNiTe2O6
_symmetry_space_group_name_H-M 'P 1'
_symmetry_Int_Tables_number 1
_cell_length_a 5.818
_cell_length_b 5.822
_cell_length_c 5.842
_cell_angle_alpha 100.95
_cell_angle_beta 119.81
_cell_angle_gamma 107.99
loop_
_symmetry_equiv_pos_as_xyz
'x,y,z'
loop_
_atom_site_label
_atom_site_fract_x
_atom_site_fract_y
_atom_site_fract_z
Co1 0.000 0.000 0.000
Ni1 0.096 0.596 0.500
Te1 0.394 0.190 0.742
Te2 0.450 0.651 0.258
O1 0.092 0.380 0.171
O2 0.112 0.917 0.340
O3 0.164 0.368 0.729
O4 0.210 0.921 0.830
O5 0.578 0.773 0.660
O6 0.641 0.434 0.273
```

Most intense lines, 2θ = 10–90°, by intensity:
- d 4.445, 2θ = 19.98°, I 100
- d 2.857, 2θ = 31.31°, I 82
- d 2.841, 2θ = 31.49°, I 77
- d 3.421, 2θ = 26.05°, I 48
- d 2.923, 2θ = 30.58°, I 43
- d 2.125, 2θ = 42.55°, I 34
- d 1.678, 2θ = 54.71°, I 23
- d 1.911, 2θ = 47.57°, I 21
- d 2.740, 2θ = 32.68°, I 21
- d 2.222, 2θ = 40.59°, I 18

Entry 3:
Starting from a DFT-relaxed cell (PBE+U, Alexandria), the powder X-ray diffraction pattern of V4CoNiO12 was computed for λ = 1.5418 Å (Cu Kα).
Peak positions follow from Bragg's law for the DFT cell and can differ from measured ones.

Crystal structure
```
data_V4CoNiO12
_symmetry_space_group_name_H-M 'P 1'
_symmetry_Int_Tables_number 1
_cell_length_a 5.870
_cell_length_b 6.783
_cell_length_c 6.797
_cell_angle_alpha 83.82
_cell_angle_beta 74.59
_cell_angle_gamma 74.46
loop_
_symmetry_equiv_pos_as_xyz
'x,y,z'
loop_
_atom_site_label
_atom_site_fract_x
_atom_site_fract_y
_atom_site_fract_z
V1 0.000 0.000 0.000
-- stop --

There wasn’t.

However, the Wii may not have had the longevity I required but it did have one thing that was unbeatable. So good, in fact, that it was the prime reason for my purchase each time I threw money at it. Because, as it turned out, there really ain’t  no party like a *Wii Bowling* party.

Forming part of *Wii Sports*, the fantastic collection of mini-games that came bundled with every Wii, *Bowling* was a typical Nintendo launch concept designed to show off the fantastic nature of their new machine. Remember, as ubiquitous as it may seem now, motioned-controlled gaming was far-fetched at the time. In fact, the reveal of the controller left heads scratching; a D-Pad and two buttons? Could that even work? The early demonstrations, though, were magical. The Wii matched its prerelease codename of *Revolution* and seemed to finally cross the divide between console accessibility and mouse-and keyboard preciseness.

In hindsight, we now know this was not the case, but we can also see how expertly Nintendo pulled this initial trick off. All of the sports in *Wii Sports* used cunning smoke-and-mirrors to make their one key action seem intuitive and freeing. *Tennis*’ large timed slide swipe (with no need to worry about character movement), *Golf*’s large swipe forward, *Boxing*’s twin timed pushes (using the linked Remote and Nunchuck in tandem), *Baseball*’s huge timed swing, *Bowling*’s large underarm arc; wide-open timing windows and massive gestures being the order of the day. However, each is perfectly realised with the kind of simple design that Nintendo has become famous for.

-- Data records that have nothing to do with the piece --
=====
# 1
Simulated X-ray powder pattern
Compound: HgPSe2S
Radiation: Cu Kα (λ = 1.5418 Å)
Structure: a DFT-relaxed cell (PBE, OQMD)

Main lines, low angle first (15 to 90 degrees two-theta):
2θ/deg	d [Å]	I (rel.)
16.57	5.350	59
17.56	5.051	51
24.16	3.684	39
24.84	3.585	74
25.70	3.467	64
27.03	3.299	41
27.73	3.217	37
28.09	3.177	81
30.48	2.933	58
30.98	2.886	61
33.04	2.711	100
33.97	2.639	47

Cell and atoms:
```
data_HgPSe2S
_space_group_name_H-M_alt 'P 1'
_space_group_IT_number 1
_cell_length_a 6.470
_cell_length_b 6.612
_cell_length_c 7.776
_cell_angle_alpha 68.03
_cell_angle_beta 84.48
_cell_angle_gamma 60.82
loop_
_space_group_symop_operation_xyz
'x,y,z'
loop_
_atom_site_label
_atom_site_fract_x
_atom_site_fract_y
_atom_site_fract_z
Hg1 0.124 0.123 0.153
Hg2 0.876 0.877 0.847
P1 0.476 0.460 0.157
P2 0.524 0.540 0.843
Se1 0.246 0.928 0.692
Se2 0.458 0.281 0.768
Se3 0.542 0.719 0.232
Se4 0.754 0.072 0.308
S1 0.140 0.507 0.196
S2 0.860 0.493 0.804
```

# 2
Simulated X-ray powder pattern
Compound: YNiBPd
Radiation: Cu Kα (λ = 1.5418 Å)
Structure: a DFT-relaxed cell (PBE, OQMD)

Main lines, low angle first (15 to 90 degrees two-theta):
2θ/deg	d [Å]	I (rel.)
24.90	3.577	30
28.82	3.097	10
41.22	2.190	100
48.75	1.868	15
51.07	1.788	3
59.71	1.549	16
65.70	1.421	6
67.63	1.385	3
75.13	1.264	32
80.58	1.192	4
89.49	1.095	10

Cell and atoms:
```
data_YNiBPd
_space_group_name_H-M_alt 'P 1'
_space_group_IT_number 1
_cell_length_a 6.195
_cell_length_b 6.195
_cell_length_c 6.195
_cell_angle_alpha 90.00
_cell_angle_beta 90.00
_cell_angle_gamma 90.00
loop_
_space_group_symop_operation_xyz
'x,y,z'
loop_
_atom_site_label
_atom_site_fract_x
_atom_site_fract_y
_atom_site_fract_z
Y1 0.000 0.000 0.000
Y2 0.000 0.500 0.500
Y3 0.500 0.000 0.500
Y4 0.500 0.500 0.000
Ni1 0.250 0.250 0.750
Ni2 0.250 0.750 0.250
Ni3 0.750 0.250 0.250
Ni4 0.750 0.750 0.750
B1 0.000 0.000 0.500
B2 0.000 0.500 0.000
B3 0.500 0.000 0.000
B4 0.500 0.500 0.500
Pd1 0.250 0.250 0.250
Pd2 0.250 0.750 0.750
Pd3 0.750 0.250 0.750
Pd4 0.750 0.750 0.250
```

# 3
Simulated X-ray powder pattern
Compound: Gd2GaBiS6
Radiation: Cu Kα (λ = 1.5418 Å)
Structure: a DFT-relaxed cell (PBE, OQMD)

Main lines, low angle first (15 to 90 degrees two-theta):
2θ/deg	d [Å]	I (rel.)
15.30	5.791	64
20.59	4.313	43
21.62	4.110	33
23.39	3.803	87
24.18	3.681	36
27.37	3.258	100
28.46	3.136	44
30.78	2.905	42
32.44	2.760	52
34.50	2.600	57
45.33	2.001	34
46.10	1.969	33

Cell and atoms:
```
data_Gd2GaBiS6
_space_group_name_H-M_alt 'P 1'
_space_group_IT_number 1
_cell_length_a 11.574
_cell_length_b 3.938
_cell_length_c 12.938
_cell_angle_alpha 90.00
_cell_angle_beta 116.22
_cell_angle_gamma 90.00
loop_
_space_group_symop_operation_xyz
'x,y,z'
loop_
_atom_site_label
_atom_site_fract_x
_atom_site_fract_y
_atom_site_fract_z
Gd1 0.033 0.250 0.276
Gd2 0.414 0.250 0.853
Gd3 0.586 0.750 0.147
Gd4 0.967 0.750 0.724
Ga1 0.271 0.750 0.597
Ga2 0.729 0.250 0.403
Bi1 0.196 0.750 0.107
Bi2 0.804 0.250 0.893
S1 0.038 0.250 0.897
S2 0.087 0.750 0.432
=====

None is greater evidence of this than *Bowling*. Using the Wii Remote’s trigger as a grip analogue for your virtual ball, it has you swinging directly into the screen and watching your ball then sliding its way down the lane to glory. Curve can be added with a twist of the wrist and each resulting spare and strike is met with congratulatory fireworks. What elevates it to the top of the *Sports* list is how fast each turn takes, making it the absolutely perfect pass-and-play multiplayer party game. Such is the accessibility of the title that, for a brief moment, the barriers between video games and the rest of your family is lifted ceremoniously to reveal the promise of total group interaction. Just like with real bowling, when you’re not playing you’re just as engaged with others’ techniques and your various methods of distraction to disrupt them. It’s a wonderful, beautiful moment when it all comes together. If only the rest of the Wii’s catalogue had focussed more on doing so much less.

This entry pairs a crystal structure of LiCoP2O7 with its calculated PXRD pattern. Radiation: Cu Kα X-rays. Structure: a GGA+U-relaxed structure.

Principal peaks in the range 10 to 90 degrees two-theta, in order of falling intensity:
2θ = 24.74°, 3.599 Å, rel. 100.0, hkl -1 1 1; 2θ = 22.65°, 3.925 Å, rel. 70.9, hkl 1 1 1; 2θ = 21.71°, 4.094 Å, rel. 58.1, hkl 0 0 2; 2θ = 30.55°, 2.927 Å, rel. 51.1, hkl 0 1 -2; 2θ = 15.36°, 5.770 Å, rel. 48.2, hkl 0 1 0; 2θ = 35.75°, 2.512 Å, rel. 33.2, hkl 2 0 0; 2θ = 33.15°, 2.702 Å, rel. 22.5, hkl 1 2 1; 2θ = 40.84°, 2.209 Å, rel. 18.5, hkl 0 1 -3; 2θ = 35.21°, 2.549 Å, rel. 14.7, hkl 1 1 3; 2θ = 27.42°, 3.253 Å, rel. 14.6, hkl 1 1 2

Structural model:
Cell lengths 5.0427, 6.1096, 8.6560 Å; angles 71.17, 86.72, 85.37 degrees
Space group P-1 (No. 2)
Inequivalent atoms, fractional coordinates:
1 Li 0.2126 0.3090 0.0262 x2
2 Co 0.2382 0.9460 0.7601 x2
3 P 0.2169 0.2929 0.3675 x2
4 P 0.2968 0.7598 0.1578 x2
5 O 0.0543 0.7089 0.7005 x2
6 O 0.1013 0.9637 0.1645 x2
7 O 0.2247 0.6676 0.0207 x2
8 O 0.2492 0.1805 0.5479 x2
9 O 0.2620 0.5637 0.3332 x2
10 O 0.4139 0.1754 0.8567 x2
11 O 0.4330 0.2124 0.2590 x2

This entry pairs a crystal structure of LiCo2P2O8 with its calculated PXRD pattern. Radiation: Cu Kα X-rays. Structure: a GGA+U-relaxed structure.

Principal peaks in the range 10 to 90 degrees two-theta, in order of falling intensity:
2θ = 21.64°, 4.106 Å, rel. 100.0, hkl 0 1 2; 2θ = 34.94°, 2.568 Å, rel. 13.1, hkl 0 2 0; 2θ = 34.74°, 2.582 Å, rel. 12.6, hkl 4 0 0; 2θ = 26.16°, 3.406 Å, rel. 8.3, hkl 2 0 3; 2θ = 36.14°, 2.486 Å, rel. 7.7, hkl 2 1 4; 2θ = 41.44°, 2.179 Å, rel. 7.5, hkl 2 2 2; 2θ = 31.51°, 2.839 Å, rel. 6.3, hkl 2 1 3; 2θ = 41.32°, 2.185 Å, rel. 5.7, hkl 4 1 2; 2θ = 43.62°, 2.075 Å, rel. 5.6, hkl 2 0 6; 2θ = 27.63°, 3.229 Å, rel. 5.1, hkl 1 1 3

Structural model:
Cell lengths 10.3287, 5.1360, 13.6032 Å; angles 90.00, 90.00, 90.00 degrees
Space group Pca2_1 (No. 29)
Inequivalent atoms, fractional coordinates:
1 Li 0.0335 0.0561 0.0000 x4
2 Co 0.0321 0.9305 0.7494 x4
3 Co 0.2179 0.5550 0.9984 x4
4 P 0.0296 0.4361 0.6220 x4
5 P 0.2182 0.0541 0.3750 x4
6 O 0.0059 0.1386 0.6250 x4
7 O 0.0125 0.4304 0.2168 x4
8 O 0.0450 0.4513 0.0295 x4
9 O 0.0706 0.0053 0.3745 x4
10 O 0.1758 0.4967 0.6038 x4
11 O 0.2166 0.9669 0.7804 x4
12 O 0.2194 0.9145 0.9677 x4
13 O 0.2466 0.3507 0.3912 x4

This entry pairs a crystal structure of Li2CoP2O7 with its calculated PXRD pattern. Radiation: Cu Kα X-rays. Structure: a GGA+U-relaxed structure.

Principal peaks in the range 10 to 90 degrees two-theta, in order of falling intensity:

But, no. As it turns out, the Wii’s launch title remained the best reason to buy the console up until its discontinuation earlier this year. In fact, as excited as I am to play *Wind Waker HD* and *Super Mario 3D World* on my shiny new Wii U on Christmas Day, I’ll also be sure to grab a Wiimote as *Wii Sports* has been resurrected as individual downloadable games for Nintendo’s new console. And at Christmas time, there isn’t a better game to have around than *Bowling*.